The managing of a virtual or a dedicated server is different than that of a standard shared web hosting account, so if you need a machine of your own for web content or offline apps, you could encounter problems that you haven't faced before. All system tasks on a shared server are handled by the host company, but if you have your own hosting server, all of these tasks are something you need to deal with. If a process freezes for some reason, for example, or if the overload on the server increases tremendously, you'll have to take measures to restore the proper functioning of the machine. Doing that may be a challenge if you have not managed a hosting server before and you don't have lots of experience, so if that's the case, you might use the Managed Services upgrade which we provide. Along with other admin tasks, you shalllocate a Monitoring & Rebooting service inside the package, so our staff can keep a watchful eye on your machine 24/7 and restart it if needed.
Monitoring and Rebooting in VPS Servers
This record from Alexandria describes an optimized crystal structure of KNpAgBr6. The functional is PBE.

The structure in POSCAR format:
```
KNpAgBr6
1.0
-5.6103 -0.1686 4.6609
3.3930 -6.1882 -1.8497
9.3268 1.7393 11.2896
K Np Ag Br
2 2 2 12
direct
0.0000 0.0000 0.0000
0.0000 0.0000 0.5000
0.6667 0.3333 0.2500
0.3333 0.6667 0.7500
0.3333 0.6667 0.2500
0.6667 0.3333 0.7500
0.6451 0.6316 0.1392
0.9864 0.3549 0.1392
0.3549 0.9864 0.6392
0.0136 0.6451 0.8608
0.3684 0.3549 0.3608
0.9864 0.6316 0.3608
0.6316 0.9864 0.8608
0.6451 0.0136 0.3608
0.0136 0.3684 0.6392
0.3684 0.0136 0.1392
0.6316 0.6451 0.6392
0.3549 0.3684 0.8608
```

Results
Mass density (g/cm3): 4.2
Spin magnetization (μB/f.u.): 3.00
Formation energy from raw total energies (meV per atom): -1164

* * * * *

Material: ScIn2WO8
Method: DFT, PBE+U
State: optimized geometry

abc: 6.871 7.036 6.458
angles: 90.00 90.00 90.00
Space group Cmmm (No. 65)
Asymmetric unit:
Sc 0.000 0.000 0.000
In 0.000 0.500 0.249
W 0.000 0.000 0.500
O 0.000 0.183 0.274
O 0.203 0.500 0.000
O 0.213 0.500 0.500

Output
The value obtained for the density of states at the Fermi level is 8.6 states/eV/f.u. The value obtained for the final energy is -6.854 eV/atom. Its volume is 13.01 Å³ per atom.

Material: ScInWO6
Method: DFT, PBE+U
State: optimized geometry

abc: 5.2996 5.2996 9.2143
angles: 90.00 90.00 120.00
Space group P-31c (No. 163)
Asymmetric unit:
Sc 0.3333 0.6667 0.2500
In 0.0000 0.0000 0.0000
W 0.3333 0.6667 0.7500
O 0.0228 0.3606 0.6339

Output
The value obtained for the density of states at the Fermi level is 0.0 states/eV/f.u. The value obtained for the final energy is -7.408 eV/atom. Its volume is 12.45 Å³ per atom.

* * * * *

DFT (PBE with a Hubbard U) results for a geometry-optimized TlOs2WO8 structure.

Structure (CIF):
```
data_TlOs2WO8
_chemical_formula_sum 'Tl1 Os2 W1 O8'
_cell_length_a 5.6544
_cell_length_b 5.6544
_cell_length_c 8.0279
_cell_angle_alpha 90.00
_cell_angle_beta 90.00
_cell_angle_gamma 120.00
_space_group_name_H-M_alt 'P -3'
_space_group_IT_number 147
_space_group_name_Hall '-P 3'
loop_
_atom_site_label
_atom_site_fract_x
_atom_site_fract_y
_atom_site_fract_z
Tl1 0.0000 0.0000 0.0000
Os1 0.3333 0.6667 0.7354
W1 0.0000 0.0000 0.5000
O1 0.0868 0.3273 0.6562
O2 0.3333 0.6667 0.9559
```

Calculated values
Volume: 18.52 Å³/atom
Electronic total energy: -6.954 eV per atom

* * * * *

No. 1
Below is a geometry-optimized Na4Ti3O8 structure, with properties calculated at the GGA-PBEsol level.

Output
**Crystal system**: monoclinic
**DFT total energy**: -110.14 eV for the cell shown
**Formation energy (no corrections)**: -2.51 eV per atom
**Size of the total moment**: 0.00 μB per cell

Unit cell a=6.041 b=6.041 c=6.481 alpha=118.24 beta=118.24 gamma=60.47
Element x y z (fractional)
Na 0.000 0.000 0.000
Na 0.000 0.500 0.000
Na 0.500 0.000 0.000
Na 0.500 0.500 0.500
Ti 0.000 0.000 0.500
Ti 0.000 0.500 0.500
Ti 0.500 0.000 0.500
O 0.194 0.750 0.688
O 0.234 0.234 0.700
O 0.250 0.806 0.312
In case you include the Managed Services upgrade to any of the VPS server services which we supply and as long as it is enabled for your account, our system administrators shall monitor your server constantly. A number of automatic checks tracking different system processes shallbe added, so if any problem presents itself, our well-trained staff is going to be notified straight away and shall work on your hosting server until the problem is sorted out. If for whatever reason the virtual hosting server runs out of memory space or some process freezes, they'll examine what caused the problem and will then reboot the hosting server to restore all system processes and the proper performance of any website or offline application you have on the server. With this service you will not have to keep an eye on your VPS constantly or pay for pricey third-party services from other firms that can alert you about a problem, but can't resolve it.
Monitoring and Rebooting in Dedicated Servers
These materials data were left in the page by mistake =
/*
Record 1
{"formula": "Cs2Sn2Bi", "functional": "PBE", "state": "optimized geometry", "e_form_ev_per_atom": -0.20, "sg": "Immm", "crystal_system": "orthorhombic", "density_g_cm3": 5.36, "cell": [[-2.8045, 3.0999, 6.3407], [2.8045, -3.0999, 6.3407], [2.8045, 3.0999, -6.3407]], "species": ["Cs", "Cs", "Sn", "Sn", "Bi"], "fractional_positions": [[0.2082, 0.2082, 0.0000], [0.7918, 0.7918, 0.0000], [0.2325, 0.5000, 0.7325], [0.7675, 0.5000, 0.2675], [0.5000, 0.0000, 0.5000]]}


Record 2
{"formula": "BaIn2Mo", "functional": "PBE", "state": "optimized geometry", "e_form_ev_per_atom": 0.58, "sg": "I-42d", "crystal_system": "tetragonal", "density_g_cm3": 5.23, "cell": [[-2.7944, 2.7944, 9.4096], [2.7944, -2.7944, 9.4096], [2.7944, 2.7944, -9.4096]], "species": ["Ba", "Ba", "In", "In", "In", "In", "Mo", "Mo"], "fractional_positions": [[0.0000, 0.0000, 0.0000], [0.7500, 0.2500, 0.5000], [0.3007, 0.6250, 0.1757], [0.3750, 0.5507, 0.6757], [0.4493, 0.1250, 0.8243], [0.8750, 0.6993, 0.3243], [0.2500, 0.7500, 0.5000], [0.5000, 0.5000, 0.0000]]}


Record 3
{"formula": "Ti2InSb2", "functional": "PBE", "state": "optimized geometry", "sg": "P4/mbm", "crystal_system": "tetragonal", "density_g_cm3": 6.76, "formation_energy_uncorrected_ev_per_atom": -0.10, "cell": [[8.0094, 0.0000, 0.0000], [0.0000, 8.0094, 0.0000], [0.0000, 0.0000, 3.4789]], "species": ["Ti", "Ti", "Ti", "Ti", "In", "In", "Sb", "Sb", "Sb", "Sb"], "fractional_positions": [[0.1340, 0.3660, 0.0000], [0.3660, 0.8660, 0.0000], [0.6340, 0.1340, 0.0000], [0.8660, 0.6340, 0.0000], [0.0000, 0.0000, 0.5000], [0.5000, 0.5000, 0.5000], [0.1513, 0.6513, 0.5000], [0.3487, 0.1513, 0.5000], [0.6513, 0.8487, 0.5000], [0.8487, 0.3487, 0.5000]]}


Record 4
{"formula": "BaYSn3", "functional": "PBE", "state": "optimized geometry", "e_form_ev_per_atom": -0.58, "sg": "Cmcm", "crystal_system": "orthorhombic", "density_g_cm3": 5.89, "cell": [[2.3734, -15.2717, 0.0000], [2.3734, 15.2717, 0.0000], [0.0000, 0.0000, 4.5272]], "species": ["Ba", "Ba", "Y", "Y", "Sn", "Sn", "Sn", "Sn", "Sn", "Sn"], "fractional_positions": [[0.0802, 0.9198, 0.7500], [0.9198, 0.0802, 0.2500], [0.2038, 0.7962, 0.2500], [0.7962, 0.2038, 0.7500], [0.3049, 0.6951, 0.2500], [0.3685, 0.6315, 0.7500], [0.4717, 0.5283, 0.7500], [0.5283, 0.4717, 0.2500], [0.6315, 0.3685, 0.2500], [0.6951, 0.3049, 0.7500]]}


A plane-wave DFT calculation with PBE was carried out for crystalline Y2SnSb at its relaxed geometry.

Cell: 4.2376 4.2376 8.0775 Å, 74.79 74.79 60.00°
Last column: nearest neighbours and their distance in Å.
Element x y z (fractional)
Y  0.2468  0.2468  0.2596  3 Sb 3.07, 3 Sn 3.16
Y  0.7532  0.7532  0.7404  3 Sb 3.07, 3 Sn 3.16
Sb  0.5000  0.5000  0.5000  6 Y 3.07
Sn  0.0000  0.0000  0.0000  6 Y 3.16

Symmetry   R-3m
Energy above the most stable polymorph in this dataset   0.096 eV/atom



A plane-wave DFT calculation with PBE was carried out for crystalline Y2SnSb at its relaxed geometry.

Cell: 5.3815 5.3815 5.3815 Å, 60.00 60.00 60.00°
*/
Adding the Managed Services package to your dedicated server service is as simple as clicking a button on the order page or in your billing Cp and so long as the service is enabled, our system admins will track all system processes on your hosting machine 24/7 as to make sure that everything is operating the way it has to. An automated system shall inform them as soon a problem shows up, so they can troubleshoot it to discover what caused it and will then resolve it very quickly. Frozen processes, software elements that have shut down or programs that employ too much physical memory are merely several examples of the things our skilled staff will look for and handle. A third-party monitoring firm can only tell you that there is some problem with a certain system service, but they'll lack the means to do anything about it as they won't be able to access your machine.